The Latest Fitness … Zumba Dance

You can enjoy this lively dance which is inspired by the famous Latin dance. People of all ages and weights can go AL Zumba wonderful experience without the need for prior knowledge of this type of dance.

You only live one life

In the world of fitness, you may have noticed three main types of people

10-Minute Workout

If you want to melt excess holiday calories faster than snow, try this pumped-up cardio routine developed by Keli Roberts

Five Rules That Can Burn Fat

1. Delete carbohydrate from your Evening meal: Perhaps this step may be one of the most affecting in your diet. It is the most important because it reduces the total calories because the body takes longer to digest at night

Top 25 At-Home Exercises

Life can get busy, and sometimes we find ourselves traveling or unable to get to our preferred health and fitness facility for a workout

Thursday, November 5, 2015

The Best Bodyweight Exercises

Although we’ve talked about some pretty advanced exercises, it’s important that you master the basics first.
The most important closed kinetic chain bodyweight exercises you need to learn are the squat, pull/chin-up and push-up.
They are the most important because, in combination, they provide a full-body workout, and each of them can be progressed easily. Working towards the the most advanced variations of these exercises is extremely tough and enable you to keep building muscle without weights for years to come.


Squats are thought to be one of the best exercises you can possibly do. It’s easy to use progressions to make them harder as time goes by, but you should start by perfecting your form. Here’s how:
  • To start, stand with your feet shoulder-width apart and put your arms out straight in front of you or behind your head.
  • Begin the descent by pushing your hips back and bending at the knees.
  • Look straight ahead and keep your chest up to ensure your back remains in a flat, neutral position. Your back should remain in this neutral position throughout the movement.
  • Squat down as low as you can whilst keeping your back straight, and then explode back up to the starting position by driving through your heels.
  • Your weight should be on your heels throughout the entire exercise.

Records of crystals, kept here for reference:
+++
# CaAcMg2In4

Crystalline CaAcMg2In4 at its relaxed geometry (PBE, the Alexandria database).

Properties
Energy of formation, eV per atom: -0.299
Total moment, μB/cell: 0.0

Cell and atoms, written as CIF:
```
data_CaAcMg2In4
_symmetry_space_group_name_H-M 'P 1'
_symmetry_Int_Tables_number 1
_cell_length_a 9.668
_cell_length_b 9.668
_cell_length_c 9.668
_cell_angle_alpha 31.66
_cell_angle_beta 31.66
_cell_angle_gamma 31.66
loop_
_symmetry_equiv_pos_as_xyz
'x,y,z'
loop_
_atom_site_label
_atom_site_fract_x
_atom_site_fract_y
_atom_site_fract_z
Ca1 0.000 0.000 0.000
Ac1 0.500 0.500 0.500
Mg1 0.253 0.253 0.253
Mg2 0.747 0.747 0.747
In1 0.116 0.116 0.116
In2 0.373 0.373 0.373
In3 0.627 0.627 0.627
In4 0.884 0.884 0.884
```

***

# Ca2AcMgIn4

Crystalline Ca2AcMgIn4 at its relaxed geometry (PBE, the Alexandria database).

Properties
Energy of formation, eV per atom: -0.351
Total moment, μB/cell: 0.0

Cell and atoms, written as CIF:
```
data_Ca2AcMgIn4
_symmetry_space_group_name_H-M 'P 1'
_symmetry_Int_Tables_number 1
_cell_length_a 9.930
_cell_length_b 9.930
_cell_length_c 9.930
_cell_angle_alpha 31.41
_cell_angle_beta 31.41
_cell_angle_gamma 31.41
loop_
_symmetry_equiv_pos_as_xyz
'x,y,z'
loop_
_atom_site_label
_atom_site_fract_x
_atom_site_fract_y
_atom_site_fract_z
Ca1 0.242 0.242 0.242
Ca2 0.758 0.758 0.758
Ac1 0.000 0.000 0.000
Mg1 0.500 0.500 0.500
In1 0.127 0.127 0.127
In2 0.387 0.387 0.387
In3 0.613 0.613 0.613
In4 0.873 0.873 0.873
```

***

# CaAcMg2In2

Crystalline CaAcMg2In2 at its relaxed geometry (PBE, the Alexandria database).

Properties
Energy of formation, eV per atom: -0.354
Total moment, μB/cell: 0.0

Cell and atoms, written as CIF:
```
data_CaAcMg2In2
_symmetry_space_group_name_H-M 'P 1'
_symmetry_Int_Tables_number 1
_cell_length_a 5.085
_cell_length_b 5.085
_cell_length_c 7.821
_cell_angle_alpha 90.00
_cell_angle_beta 90.00
_cell_angle_gamma 120.00
loop_
_symmetry_equiv_pos_as_xyz
'x,y,z'
loop_
_atom_site_label
_atom_site_fract_x
_atom_site_fract_y
_atom_site_fract_z
Ca1 0.000 0.000 0.000
Ac1 0.000 0.000 0.500
Mg1 0.333 0.667 0.216
Mg2 0.667 0.333 0.784
In1 0.333 0.667 0.758
In2 0.667 0.333 0.242
```

***

# CaAcMgIn2

Crystalline CaAcMgIn2 at its relaxed geometry (PBE, the Alexandria database).

Properties
Energy of formation, eV per atom: -0.316
Total moment, μB/cell: 0.0

Cell and atoms, written as CIF:
```
data_CaAcMgIn2
_symmetry_space_group_name_H-M 'P 1'
_symmetry_Int_Tables_number 1
_cell_length_a 7.572
_cell_length_b 7.572
_cell_length_c 7.572
_cell_angle_alpha 142.77
_cell_angle_beta 142.77
_cell_angle_gamma 53.67
loop_
_symmetry_equiv_pos_as_xyz
'x,y,z'
loop_
_atom_site_label
_atom_site_fract_x
_atom_site_fract_y
_atom_site_fract_z
Ca1 0.000 0.000 0.000
Ac1 0.750 0.250 0.500
Mg1 0.500 0.500 0.000
In1 0.145 0.645 0.500
In2 0.355 0.855 0.500
```

***

# CaAcMgIn

Crystalline CaAcMgIn at its relaxed geometry (PBE, the Alexandria database).

Properties
Energy of formation, eV per atom: -0.307
Total moment, μB/cell: 0.0
+++
The records of crystals stop here:

Pull-Ups and Chin-Ups

Pull-ups and chin-ups are amongst the most important exercises to both novice and advanced athletes alike – which is why it sometimes referred to as ‘the upper body squat’.
Before we go on, it’s important to distinguish between a pull-up and a chin-up:
  • Pull-ups are performed with your palms facing away from you.
  • Chin-ups are performed with your palms facing you.
Both pull-ups and chin-ups work the back and arms, but chin-ups place slightly more stress on the biceps and are easier than pull-ups. Here are some pointers on form:
  • The movement begins from a dead hang. This means your arms should be fully extended, hands about shoulder width apart, chest up, and your shoulders back and tight.
  • Pull yourself up toward the bar, clearing the bar with your chin.
  • Lower yourself in a controlled motion, and repeat the process.
If you find yourself unable to perform a single pull or chin-up, work on performing negatives. To perform a negative, jump above the bar and try to lower yourself slowly and in control until you’re at the bottom of the movement. This is a great way to build some strength that will prepare you for the real deal.


Push ups engage your chest, shoulders, triceps, and core for a complete pushing exercise, and there’s a tonne of different variations to satisfy the beginner to the advanced athlete. They’re kind of a big deal.
To perform a basic push- up:
  • Place you hands on the ground slightly wider than shoulder width.
  • Lower yourself until your chest almost touches the floor.
  • Ensure you keep your body in a straight line throughout the movement by squeezing your glutes and bracing your abs as if somebody was going to punch you in the stomach.
  • Keep your elbows close to your body.
If you can’t do a regular push-up don’t panic. It’s easy to work up to push-ups by starting on an incline or a wall. The technique is exactly the same as above, only you’re more upright.
Once you can perform the basic push-up you can progress to diamond push-ups and eventually one-armed push-ups.

Monday, November 2, 2015

10-minute home cardio workout

10-Minute Workout

If you want to melt excess holiday calories faster than snow, try this pumped-up cardio routine developed by Keli Roberts, creator of 10-Minute Cardio Kick Box. You'll burn 150 calories in just 10 minutes.

Jump Rope

Begin by taking two jumps for each turn; land softly on balls of feet.

Squat-Thrust Push-Up

Stand with feet shoulder-width apart, arms by sides. Squat down, bringing hands to floor outside your feet. Jump legs back into a plank pose. Do one push-up. Hop feet to the inside of hands, then jump up, reaching fingertips toward the ceiling. Repeat

Jump Rope

Do one jump per turn.

Squat-Thrust Push-Up with Side-Plank

Repeat minute 2 to 3, but after completing push-up, shift weight onto your right hand and the outside of your right foot. Rotate body to the right, extending left arm toward ceiling; keep hips lifted. Rotate back to center and repeat on opposite side. Hop feet back to start and jump up; repeat.

Squat-Thrust Push-Up with Leg Lifts

Jump Rope

Do one jump per turn.

Squat-Thrust Push-Up with Leg Lifts

Repeat minute 2 to 3. After completing push-up, lift left toes about 12 inches. Lower and repeat with right. Hop back to start, jump up, and repeat.

Squat-Thrust Push-Up with Mountain Climbers

Jump Rope

Do one jump per turn.

Squat-Thrust Push-Up with Mountain Climbers

Repeat minute 2 to 3. After completing the push-up, hop right foot to the floor just underneath hips. Quickly hop right foot back, extending leg behind you, while bringing left foot forward. Complete 5 hops on each leg, alternating sides. Hop feet back to start, jump up, and repeat.

Jump Rope

Do one jump per turn.

fitness care